[Wanted]
Could you duplicate all of the contents underneath without altering anything?

[Material]
[1]
Li2HfO3 PBE-GGA optimized geometry; electronic total energy = -0.2791 Ha/atom; formation energy from the elements = -3.168 eV per atom
1.0
0.861 -0.380 -5.182
2.173 -3.638 3.127
-2.908 -4.386 -1.261
Hf O Li
2 6 4
Direct
0.591 0.409 0.250 Hf
0.409 0.591 0.750 Hf
0.652 0.803 0.985 O
0.348 0.197 0.015 O
0.803 0.652 0.485 O
0.000 0.500 0.000 O
0.500 0.000 0.500 O
0.197 0.348 0.515 O
0.076 0.924 0.750 Li
0.924 0.076 0.250 Li
0.758 0.242 0.750 Li
0.242 0.758 0.250 Li

[2]
Na6TeP6H18O30 PBE-GGA optimized geometry; electronic total energy = -0.2118 Ha/atom; formation energy from the elements = -1.953 eV per atom
1.0
-0.328 -0.253 -11.766
3.558 -9.487 5.995
-11.475 -4.047 0.407
P H Na O Te
12 36 12 60 2
Direct
0.750 0.498 0.007 P
0.498 0.747 0.507 P
0.498 0.747 0.993 P
0.250 0.502 0.993 P
0.250 0.502 0.507 P
0.502 0.253 0.007 P
0.747 0.250 0.007 P
0.253 0.750 0.507 P
0.747 0.250 0.493 P
0.253 0.750 0.993 P
0.502 0.253 0.493 P
0.750 0.498 0.493 P
0.151 0.221 0.428 H
0.930 0.151 0.572 H
0.849 0.779 0.572 H
0.905 0.304 0.686 H
0.084 0.372 0.315 H
0.372 0.288 0.685 H
0.084 0.372 0.185 H
0.696 0.601 0.814 H
0.849 0.779 0.928 H
0.399 0.095 0.814 H
0.930 0.151 0.928 H
0.151 0.221 0.072 H
0.221 0.070 0.928 H
0.288 0.916 0.185 H
0.070 0.849 0.428 H
0.070 0.849 0.072 H
0.095 0.696 0.186 H
0.916 0.628 0.685 H
0.712 0.084 0.815 H
0.601 0.905 0.314 H
0.221 0.070 0.572 H
0.304 0.399 0.314 H
0.372 0.288 0.815 H
0.628 0.712 0.185 H
0.628 0.712 0.315 H
0.696 0.601 0.686 H
0.288 0.916 0.315 H
0.779 0.930 0.072 H
0.095 0.696 0.314 H
0.601 0.905 0.186 H
0.916 0.628 0.815 H
0.779 0.930 0.428 H
0.712 0.084 0.685 H
0.905 0.304 0.814 H
0.399 0.095 0.686 H
0.304 0.399 0.186 H
0.429 0.559 0.750 Na
0.559 0.129 0.250 Na
0.153 0.871 0.750 Na
0.871 0.718 0.250 Na
0.571 0.441 0.250 Na
0.441 0.871 0.750 Na
0.871 0.429 0.250 Na
0.282 0.153 0.250 Na
0.129 0.571 0.750 Na
0.718 0.847 0.750 Na
0.129 0.282 0.750 Na
0.847 0.129 0.250 Na
0.594 0.190 0.528 O
0.974 0.650 0.750 O
0.026 0.350 0.250 O
0.404 0.594 0.028 O
0.865 0.867 0.906 O
0.190 0.596 0.472 O
0.389 0.196 0.928 O
0.406 0.810 0.028 O
0.133 0.998 0.594 O
0.611 0.804 0.072 O
0.196 0.806 0.428 O
0.962 0.345 0.750 O
0.998 0.865 0.406 O
0.038 0.655 0.250 O
0.196 0.806 0.072 O
0.810 0.404 0.528 O
0.135 0.133 0.406 O
0.806 0.611 0.928 O
0.596 0.406 0.528 O
0.650 0.675 0.250 O
0.806 0.611 0.572 O
0.002 0.135 0.906 O
0.404 0.594 0.472 O
0.804 0.194 0.928 O
0.345 0.383 0.250 O
0.135 0.133 0.094 O
0.242 0.762 0.872 O
0.596 0.406 0.972 O
0.350 0.325 0.750 O
0.655 0.617 0.750 O
0.133 0.998 0.906 O
0.865 0.867 0.594 O
0.758 0.238 0.128 O
0.611 0.804 0.428 O
0.383 0.038 0.750 O
0.594 0.190 0.972 O
0.762 0.520 0.372 O
0.194 0.389 0.072 O
0.406 0.810 0.472 O
0.194 0.389 0.428 O
0.998 0.865 0.094 O
0.762 0.520 0.128 O
0.238 0.480 0.628 O
0.480 0.242 0.128 O
0.617 0.962 0.250 O
0.242 0.762 0.628 O
0.810 0.404 0.972 O
0.325 0.974 0.250 O
0.675 0.026 0.750 O
0.190 0.596 0.028 O
0.804 0.194 0.572 O
0.238 0.480 0.872 O
0.389 0.196 0.572 O
0.480 0.242 0.372 O
0.867 0.002 0.094 O
0.002 0.135 0.594 O
0.867 0.002 0.406 O
0.520 0.758 0.628 O
0.758 0.238 0.372 O
0.520 0.758 0.872 O
0.000 0.000 0.000 Te
0.000 0.000 0.500 Te

[3]
Mg5Zn PBE-GGA optimized geometry; electronic total energy = -0.0567 Ha/atom; formation energy from the elements = 0.000 eV per atom
1.0
0.561 4.895 2.077
-1.658 -4.040 3.086
4.873 -1.073 1.212
Zn Mg
1 5
Direct
0.000 0.000 0.000 Zn
0.333 0.667 0.000 Mg
0.667 0.333 0.000 Mg
0.672 0.000 0.500 Mg
0.328 0.328 0.500 Mg
0.000 0.672 0.500 Mg

[4]
Ba3LiTi5Sb3O21 PBE-GGA optimized geometry; electronic total energy = -0.2753 Ha/atom; formation energy from the elements = -2.976 eV per atom
1.0
9.189 0.000 0.000
4.589 7.972 0.000
0.026 0.015 11.775
O Ba Sb Ti Li
42 6 6 10 2
Direct
0.477 0.830 0.397 O
0.164 0.508 0.394 O
0.213 0.993 0.569 O
0.199 0.789 0.429 O
0.007 0.199 0.070 O
0.826 0.478 0.897 O
0.323 0.166 0.400 O
0.805 0.994 0.427 O
0.175 0.513 0.104 O
0.833 0.491 0.599 O
0.315 0.520 0.600 O
0.690 0.482 0.101 O

[Reply]
[1]
Li2HfO3 PBE-GGA optimized geometry; electronic total energy = -0.2791 Ha/atom; formation energy from the elements = -3.168 eV per atom
1.0
0.861 -0.380 -5.182
2.173 -3.638 3.127
-2.908 -4.386 -1.261
Hf O Li
2 6 4
Direct
0.591 0.409 0.250 Hf
0.409 0.591 0.750 Hf
0.652 0.803 0.985 O
0.348 0.197 0.015 O
0.803 0.652 0.485 O
0.000 0.500 0.000 O
0.500 0.000 0.500 O
0.197 0.348 0.515 O
0.076 0.924 0.750 Li
0.924 0.076 0.250 Li
0.758 0.242 0.750 Li
0.242 0.758 0.250 Li

[2]
Na6TeP6H18O30 PBE-GGA optimized geometry; electronic total energy = -0.2118 Ha/atom; formation energy from the elements = -1.953 eV per atom
1.0
-0.328 -0.253 -11.766
3.558 -9.487 5.995
-11.475 -4.047 0.407
P H Na O Te
12 36 12 60 2
Direct
0.750 0.498 0.007 P
0.498 0.747 0.507 P
0.498 0.747 0.993 P
0.250 0.502 0.993 P
0.250 0.502 0.507 P
0.502 0.253 0.007 P
0.747 0.250 0.007 P
0.253 0.750 0.507 P
0.747 0.250 0.493 P
0.253 0.750 0.993 P
0.502 0.253 0.493 P
0.750 0.498 0.493 P
0.151 0.221 0.428 H
0.930 0.151 0.572 H
0.849 0.779 0.572 H
0.905 0.304 0.686 H
0.084 0.372 0.315 H
0.372 0.288 0.685 H
0.084 0.372 0.185 H
0.696 0.601 0.814 H
0.849 0.779 0.928 H
0.399 0.095 0.814 H
0.930 0.151 0.928 H
0.151 0.221 0.072 H
0.221 0.070 0.928 H
0.288 0.916 0.185 H
0.070 0.849 0.428 H
0.070 0.849 0.072 H
0.095 0.696 0.186 H
0.916 0.628 0.685 H
0.712 0.084 0.815 H
0.601 0.905 0.314 H
0.221 0.070 0.572 H
0.304 0.399 0.314 H
0.372 0.288 0.815 H
0.628 0.712 0.185 H
0.628 0.712 0.315 H
0.696 0.601 0.686 H
0.288 0.916 0.315 H
0.779 0.930 0.072 H
0.095 0.696 0.314 H
0.601 0.905 0.186 H
0.916 0.628 0.815 H
0.779 0.930 0.428 H
0.712 0.084 0.685 H
0.905 0.304 0.814 H
0.399 0.095 0.686 H
0.304 0.399 0.186 H
0.429 0.559 0.750 Na
0.559 0.129 0.250 Na
0.153 0.871 0.750 Na
0.871 0.718 0.250 Na
0.571 0.441 0.250 Na
0.441 0.871 0.750 Na
0.871 0.429 0.250 Na
0.282 0.153 0.250 Na
0.129 0.571 0.750 Na
0.718 0.847 0.750 Na
0.129 0.282 0.750 Na
0.847 0.129 0.250 Na
0.594 0.190 0.528 O
0.974 0.650 0.750 O
0.026 0.350 0.250 O
0.404 0.594 0.028 O
0.865 0.867 0.906 O
0.190 0.596 0.472 O
0.389 0.196 0.928 O
0.406 0.810 0.028 O
0.133 0.998 0.594 O
0.611 0.804 0.072 O
0.196 0.806 0.428 O
0.962 0.345 0.750 O
0.998 0.865 0.406 O
0.038 0.655 0.250 O
0.196 0.806 0.072 O
0.810 0.404 0.528 O
0.135 0.133 0.406 O
0.806 0.611 0.928 O
0.596 0.406 0.528 O
0.650 0.675 0.250 O
0.806 0.611 0.572 O
0.002 0.135 0.906 O
0.404 0.594 0.472 O
0.804 0.194 0.928 O
0.345 0.383 0.250 O
0.135 0.133 0.094 O
0.242 0.762 0.872 O
0.596 0.406 0.972 O
0.350 0.325 0.750 O
0.655 0.617 0.750 O
0.133 0.998 0.906 O
0.865 0.867 0.594 O
0.758 0.238 0.128 O
0.611 0.804 0.428 O
0.383 0.038 0.750 O
0.594 0.190 0.972 O
0.762 0.520 0.372 O
0.194 0.389 0.072 O
0.406 0.810 0.472 O
0.194 0.389 0.428 O
0.998 0.865 0.094 O
0.762 0.520 0.128 O
0.238 0.480 0.628 O
0.480 0.242 0.128 O
0.617 0.962 0.250 O
0.242 0.762 0.628 O
0.810 0.404 0.972 O
0.325 0.974 0.250 O
0.675 0.026 0.750 O
0.190 0.596 0.028 O
0.804 0.194 0.572 O
0.238 0.480 0.872 O
0.389 0.196 0.572 O
0.480 0.242 0.372 O
0.867 0.002 0.094 O
0.002 0.135 0.594 O
0.867 0.002 0.406 O
0.520 0.758 0.628 O
0.758 0.238 0.372 O
0.520 0.758 0.872 O
0.000 0.000 0.000 Te
0.000 0.000 0.500 Te

[3]
Mg5Zn PBE-GGA optimized geometry; electronic total energy = -0.0567 Ha/atom; formation energy from the elements = 0.000 eV per atom
1.0
0.561 4.895 2.077
-1.658 -4.040 3.086
4.873 -1.073 1.212
Zn Mg
1 5
Direct
0.000 0.000 0.000 Zn
0.333 0.667 0.000 Mg
0.667 0.333 0.000 Mg
0.672 0.000 0.500 Mg
0.328 0.328 0.500 Mg
0.000 0.672 0.500 Mg

[4]
Ba3LiTi5Sb3O21 PBE-GGA optimized geometry; electronic total energy = -0.2753 Ha/atom; formation energy from the elements = -2.976 eV per atom
1.0
9.189 0.000 0.000
4.589 7.972 0.000
0.026 0.015 11.775
O Ba Sb Ti Li
42 6 6 10 2
Direct
0.477 0.830 0.397 O
0.164 0.508 0.394 O
0.213 0.993 0.569 O
0.199 0.789 0.429 O
0.007 0.199 0.070 O
0.826 0.478 0.897 O
0.323 0.166 0.400 O
0.805 0.994 0.427 O
0.175 0.513 0.104 O
0.833 0.491 0.599 O
0.315 0.520 0.600 O
0.690 0.482 0.101 O